-- begin --
Computed, not measured: a geometry-optimized Ca4Al5FeSi6H2O26 structure at the PBE+U level of DFT.

Geometry as extended XYZ:
```
44
Lattice="8.984 0.000 0.000 0.000 5.676 0.000 -4.396 0.000 9.253" Properties=species:S:1:pos:R:3 pbc="T T T"
Ca 0.000 0.000 0.000
Ca -1.912 0.000 6.719
Ca 3.805 2.838 3.885
Ca 6.328 2.838 1.407
Al -0.635 0.000 3.230
Al 0.939 1.417 5.314
Al 0.939 4.259 5.314
Al 3.178 1.414 0.708
Al 3.178 4.262 0.708
Fe 2.607 2.838 7.383
Si -1.874 2.838 4.872
Si -3.074 2.838 7.883
Si 0.709 2.838 2.399
Si 1.203 0.000 8.265
Si 5.076 0.000 2.799
Si 3.784 0.000 5.769
H 1.908 0.000 2.352
H 0.017 2.838 8.316
O -2.782 2.838 6.260
O -0.184 1.491 2.082
O -0.184 4.185 2.082
O -0.964 1.439 4.910
O -0.964 4.237 4.910
O -2.382 1.486 8.493
O -2.382 4.190 8.493
O 2.138 0.000 1.392
O 2.174 2.838 1.597
O 1.005 0.000 4.103
O 1.233 2.838 3.997
O 0.686 0.000 6.662
O 0.823 2.838 6.520
O -0.243 0.000 9.074
O 4.207 2.838 0.029
O 4.373 1.337 2.155
O 4.373 4.339 2.155
O 2.858 1.386 5.692
O 2.858 4.290 5.692
O 2.116 1.315 8.630
O 2.116 4.361 8.630
O 4.720 0.000 4.409
O 6.085 2.838 3.661
O 6.670 0.000 2.591
O 4.781 0.000 7.004
O 4.330 2.838 8.197
```

## Properties
The density of states at the Fermi level is 0.000 states/eV per cell. Its symmetry is Pm, No. 6. As for the total magnetization: 4.93 μB per cell. The calculation puts the total energy at -7.336 eV per atom.

~~~~~

--- A ---
# K3RbTl8 PBE optimized geometry
data_K3RbTl8
_chemical_formula_sum 'K3 Rb1 Tl8'
_space_group_name_H-M_alt 'P 1'
_space_group_IT_number 1
_cell_length_a 6.805
_cell_length_b 6.805
_cell_length_c 10.592
_cell_angle_alpha 90.00
_cell_angle_beta 90.00
_cell_angle_gamma 120.00
loop_
_space_group_symop_operation_xyz
'x,y,z'
loop_
_atom_site_label
_atom_site_fract_x
_atom_site_fract_y
_atom_site_fract_z
K1 0.000 0.000 0.000
K2 0.000 0.000 0.373
K3 0.333 0.667 0.876
Rb1 0.333 0.667 0.499
Tl1 0.002 0.501 0.185
Tl2 0.328 0.164 0.689
Tl3 0.499 0.501 0.185
Tl4 0.499 0.998 0.185
Tl5 0.667 0.333 0.438
Tl6 0.667 0.333 0.935
Tl7 0.836 0.164 0.689
Tl8 0.836 0.672 0.689
# **SG**: No. 156

***

--- B ---
# K3RbTl8 PBE optimized geometry
data_K3RbTl8
_chemical_formula_sum 'K3 Rb1 Tl8'
_space_group_name_H-M_alt 'P 1'
_space_group_IT_number 1
_cell_length_a 11.590
_cell_length_b 11.590
_cell_length_c 11.590
_cell_angle_alpha 33.99
_cell_angle_beta 33.99
_cell_angle_gamma 33.99
loop_
_space_group_symop_operation_xyz
'x,y,z'
loop_
_atom_site_label
_atom_site_fract_x
_atom_site_fract_y
_atom_site_fract_z
K1 0.000 0.000 0.000
K2 0.124 0.124 0.124
K3 0.625 0.625 0.625
Rb1 0.500 0.500 0.500
Tl1 0.061 0.562 0.562
Tl2 0.063 0.063 0.563
Tl3 0.063 0.563 0.063
Tl4 0.312 0.312 0.312
Tl5 0.562 0.061 0.562
Tl6 0.562 0.562 0.061
Tl7 0.563 0.063 0.063
Tl8 0.812 0.812 0.812
# **SG**: No. 160

***

Which structure is most stable? A, by 0.027 eV/atom over the runner-up.

***

--- A ---
# K2RbTlZn PBE optimized geometry
data_K2RbTlZn
_chemical_formula_sum 'K2 Rb1 Tl1 Zn1'
_space_group_name_H-M_alt 'P 1'
_space_group_IT_number 1
_cell_length_a 6.733
_cell_length_b 6.733
_cell_length_c 5.501
_cell_angle_alpha 90.00
_cell_angle_beta 90.00
_cell_angle_gamma 90.00
loop_
_space_group_symop_operation_xyz
'x,y,z'
loop_
_atom_site_label
_atom_site_fract_x
_atom_site_fract_y
_atom_site_fract_z
K1 0.000 0.500 0.000
K2 0.500 0.000 0.000
Rb1 0.000 0.000 0.500
Tl1 0.500 0.500 0.500
Zn1 0.500 0.500 0.000
# **SG**: No. 123

***

--- B ---
# K2RbTlZn PBE optimized geometry
data_K2RbTlZn
_chemical_formula_sum 'K2 Rb1 Tl1 Zn1'
_space_group_name_H-M_alt 'P 1'
_space_group_IT_number 1
_cell_length_a 6.931
_cell_length_b 6.931
_cell_length_c 5.498
_cell_angle_alpha 90.00
_cell_angle_beta 90.00
_cell_angle_gamma 90.00
loop_
_space_group_symop_operation_xyz
'x,y,z'
loop_
_atom_site_label
_atom_site_fract_x
_atom_site_fract_y
_atom_site_fract_z
K1 0.000 0.500 0.000
K2 0.500 0.000 0.000
Rb1 0.000 0.000 0.500
Tl1 0.500 0.500 0.000
Zn1 0.500 0.500 0.500
# **SG**: No. 123

***
-- stop --
Next, give back all of the notes further above word for word.
Computed, not measured: a geometry-optimized Ca4Al5FeSi6H2O26 structure at the PBE+U level of DFT.

Geometry as extended XYZ:
```
44
Lattice="8.984 0.000 0.000 0.000 5.676 0.000 -4.396 0.000 9.253" Properties=species:S:1:pos:R:3 pbc="T T T"
Ca 0.000 0.000 0.000
Ca -1.912 0.000 6.719
Ca 3.805 2.838 3.885
Ca 6.328 2.838 1.407
Al -0.635 0.000 3.230
Al 0.939 1.417 5.314
Al 0.939 4.259 5.314
Al 3.178 1.414 0.708
Al 3.178 4.262 0.708
Fe 2.607 2.838 7.383
Si -1.874 2.838 4.872
Si -3.074 2.838 7.883
Si 0.709 2.838 2.399
Si 1.203 0.000 8.265
Si 5.076 0.000 2.799
Si 3.784 0.000 5.769
H 1.908 0.000 2.352
H 0.017 2.838 8.316
O -2.782 2.838 6.260
O -0.184 1.491 2.082
O -0.184 4.185 2.082
O -0.964 1.439 4.910
O -0.964 4.237 4.910
O -2.382 1.486 8.493
O -2.382 4.190 8.493
O 2.138 0.000 1.392
O 2.174 2.838 1.597
O 1.005 0.000 4.103
O 1.233 2.838 3.997
O 0.686 0.000 6.662
O 0.823 2.838 6.520
O -0.243 0.000 9.074
O 4.207 2.838 0.029
O 4.373 1.337 2.155
O 4.373 4.339 2.155
O 2.858 1.386 5.692
O 2.858 4.290 5.692
O 2.116 1.315 8.630
O 2.116 4.361 8.630
O 4.720 0.000 4.409
O 6.085 2.838 3.661
O 6.670 0.000 2.591
O 4.781 0.000 7.004
O 4.330 2.838 8.197
```

## Properties
The density of states at the Fermi level is 0.000 states/eV per cell. Its symmetry is Pm, No. 6. As for the total magnetization: 4.93 μB per cell. The calculation puts the total energy at -7.336 eV per atom.

~~~~~

--- A ---
# K3RbTl8 PBE optimized geometry
data_K3RbTl8
_chemical_formula_sum 'K3 Rb1 Tl8'
_space_group_name_H-M_alt 'P 1'
_space_group_IT_number 1
_cell_length_a 6.805
_cell_length_b 6.805
_cell_length_c 10.592
_cell_angle_alpha 90.00
_cell_angle_beta 90.00
_cell_angle_gamma 120.00
loop_
_space_group_symop_operation_xyz
'x,y,z'
loop_
_atom_site_label
_atom_site_fract_x
_atom_site_fract_y
_atom_site_fract_z
K1 0.000 0.000 0.000
K2 0.000 0.000 0.373
K3 0.333 0.667 0.876
Rb1 0.333 0.667 0.499
Tl1 0.002 0.501 0.185
Tl2 0.328 0.164 0.689
Tl3 0.499 0.501 0.185
Tl4 0.499 0.998 0.185
Tl5 0.667 0.333 0.438
Tl6 0.667 0.333 0.935
Tl7 0.836 0.164 0.689
Tl8 0.836 0.672 0.689
# **SG**: No. 156

***

--- B ---
# K3RbTl8 PBE optimized geometry
data_K3RbTl8
_chemical_formula_sum 'K3 Rb1 Tl8'
_space_group_name_H-M_alt 'P 1'
_space_group_IT_number 1
_cell_length_a 11.590
_cell_length_b 11.590
_cell_length_c 11.590
_cell_angle_alpha 33.99
_cell_angle_beta 33.99
_cell_angle_gamma 33.99
loop_
_space_group_symop_operation_xyz
'x,y,z'
loop_
_atom_site_label
_atom_site_fract_x
_atom_site_fract_y
_atom_site_fract_z
K1 0.000 0.000 0.000
K2 0.124 0.124 0.124
K3 0.625 0.625 0.625
Rb1 0.500 0.500 0.500
Tl1 0.061 0.562 0.562
Tl2 0.063 0.063 0.563
Tl3 0.063 0.563 0.063
Tl4 0.312 0.312 0.312
Tl5 0.562 0.061 0.562
Tl6 0.562 0.562 0.061
Tl7 0.563 0.063 0.063
Tl8 0.812 0.812 0.812
# **SG**: No. 160

***

Which structure is most stable? A, by 0.027 eV/atom over the runner-up.

***

--- A ---
# K2RbTlZn PBE optimized geometry
data_K2RbTlZn
_chemical_formula_sum 'K2 Rb1 Tl1 Zn1'
_space_group_name_H-M_alt 'P 1'
_space_group_IT_number 1
_cell_length_a 6.733
_cell_length_b 6.733
_cell_length_c 5.501
_cell_angle_alpha 90.00
_cell_angle_beta 90.00
_cell_angle_gamma 90.00
loop_
_space_group_symop_operation_xyz
'x,y,z'
loop_
_atom_site_label
_atom_site_fract_x
_atom_site_fract_y
_atom_site_fract_z
K1 0.000 0.500 0.000
K2 0.500 0.000 0.000
Rb1 0.000 0.000 0.500
Tl1 0.500 0.500 0.500
Zn1 0.500 0.500 0.000
# **SG**: No. 123

***

--- B ---
# K2RbTlZn PBE optimized geometry
data_K2RbTlZn
_chemical_formula_sum 'K2 Rb1 Tl1 Zn1'
_space_group_name_H-M_alt 'P 1'
_space_group_IT_number 1
_cell_length_a 6.931
_cell_length_b 6.931
_cell_length_c 5.498
_cell_angle_alpha 90.00
_cell_angle_beta 90.00
_cell_angle_gamma 90.00
loop_
_space_group_symop_operation_xyz
'x,y,z'
loop_
_atom_site_label
_atom_site_fract_x
_atom_site_fract_y
_atom_site_fract_z
K1 0.000 0.500 0.000
K2 0.500 0.000 0.000
Rb1 0.000 0.000 0.500
Tl1 0.500 0.500 0.000
Zn1 0.500 0.500 0.500
# **SG**: No. 123

***